Manistee Community Track
Community Track Features
Phase 1 of the track includes an eight-lane 400-meter track, field events area, and a full-sized soccer field in the interior of the track. Irrigation, a scoreboard and a flag pole were also installed. The track
In order to host track meets, an additional $60,000 worth of equipment was purchased through private donation: hurdles, timing system, pits/mats for the high jump, pole vault.
Phase 2 of the Community Track Project will include a 500-seat bleachers press box and asphalt walkways and drives.

Data records that have nothing to do with the entry
=====
Formula: C28H52FeGeN3O7S
Source: the OMol25 dataset
Level of theory: ωB97M-V/def2-TZVPD

As for the energy relative to the best compared isomer or geometry (same formula, charge and spin): 0.0 kJ/mol. The value obtained for the maximum force is 1.9 eV/A. Its net charge is +2. For the total energy, the calculation gives -150408.136 eV. Its spin multiplicity is 6. The expectation value of S² is 8.76. The highest occupied orbital energy (alpha / beta) is -14.00 / -14.00 eV. The gap between HOMO and LUMO (alpha / beta) is 8.8339 / 6.6595 eV.

The geometry in XYZ format:
```
93
Properties=species:S:1:pos:R:3:forces:R:3:mulliken_spin:R:1
Fe 0.995 -0.410 0.643 -0.016 -0.638 0.560 4.3546
C 0.324 3.787 -2.323 0.847 -0.084 0.704 -0.0011
C 1.790 3.305 -2.230 -0.048 -0.107 0.674 -0.0044
C 2.345 2.933 -3.594 -0.052 -0.028 0.331 0.0041
C 2.640 4.411 -1.515 0.298 -0.659 -0.369 0.0005
O 1.670 2.094 -1.405 0.644 0.325 -0.280 0.0190
Ge 2.952 0.762 -1.282 -0.390 0.906 0.042 0.0444
O 2.456 0.799 0.692 0.069 -0.414 -0.634 0.0853
C 3.489 1.239 1.646 -0.683 0.368 -0.210 -0.0228
C 2.714 1.188 2.944 0.528 -0.118 0.655 0.0406
C 3.967 2.672 1.316 -0.511 -0.796 -1.118 0.0112
C 4.611 0.231 1.655 0.103 0.197 0.272 0.0055
O 1.503 -0.615 -1.209 -0.040 -0.032 0.817 0.1262
C 1.480 -1.745 -2.147 0.443 -0.325 -0.628 -0.0083
C 2.035 -1.251 -3.485 0.152 -0.307 -0.446 0.0036
C 2.255 -2.969 -1.627 0.941 1.247 -0.442 0.0027
C 0.028 -2.037 -2.355 0.346 -0.047 -0.648 0.0041
H 0.213 4.612 -3.013 0.036 0.581 0.247 -0.0003
H 0.091 4.023 -1.262 -0.336 0.254 -0.885 -0.0002
H -0.348 3.025 -2.695 0.012 -0.520 0.006 0.0002
H 2.143 3.710 -4.314 -0.238 0.156 -0.353 -0.0003
H 1.864 1.998 -3.866 -0.071 0.001 -0.466 -0.0017
H 3.422 2.793 -3.619 0.228 -0.120 0.281 -0.0003
H 2.743 5.279 -2.165 -0.311 0.106 -0.041 -0.0002
H 3.694 4.129 -1.310 -0.687 -0.268 -0.169 -0.0002
H 2.195 4.728 -0.566 -0.056 -0.072 -0.136 0.0001
H 1.712 1.591 2.796 0.331 0.240 0.302 -0.0096
H 3.263 1.696 3.750 -0.391 -0.035 -0.156 0.0004
H 2.613 0.139 3.232 -0.060 -0.049 0.116 0.0011
H 3.162 3.392 1.391 -0.216 0.132 0.311 -0.0006
H 4.390 2.837 0.296 -0.159 -0.630 0.697 0.0005
H 4.736 2.876 2.023 0.620 0.484 0.574 0.0004
H 4.220 -0.777 1.672 -0.091 -0.270 0.079 -0.0007
H 5.223 0.391 2.536 0.040 -0.050 0.289 0.0015
H 5.284 0.344 0.829 0.264 0.055 -0.714 0.0018
H 3.129 -1.118 -3.476 -0.395 -0.024 -0.102 -0.0016
H 1.525 -0.320 -3.745 0.237 0.151 0.067 0.0013
H 1.757 -1.946 -4.316 0.381 0.283 0.799 0.0023
H 3.246 -2.646 -1.239 -0.628 -0.259 -0.014 -0.0002
H 2.472 -3.591 -2.491 -0.099 -0.222 -0.021 0.0011
H 1.720 -3.545 -0.893 -0.215 -0.085 0.435 -0.0018
H -0.362 -1.216 -2.984 -0.414 -0.697 0.358 0.0004
H -0.400 -2.071 -1.382 -0.936 0.015 0.810 0.0075
H -0.073 -3.038 -2.791 -0.244 0.391 -0.264 -0.0028
C -2.604 2.306 -0.378 0.459 0.461 0.214 -0.0009
C -1.604 1.138 -0.307 -0.170 -0.514 -0.312 -0.0086
N -0.864 1.077 0.981 0.022 1.184 -0.078 0.0295
C -0.220 2.403 1.261 -0.303 0.066 -0.484 -0.0167
=====
The entry goes on

About the Track
In spite of the poor condition of the track, MAPS has had a very competitive track program. In the past 10 years since the Centennial Track ceased to be used for competition, Manistee has produced 17 all-state track and field athletes, including 4 state champions. Three of these athletes went on to receive high college honors in track, with several still competing on the collegiate level. This was accomplished without the use of a track for competition or safe practice.
Fundraising for a new track was started approximately 10 years ago and due to the efforts of a lot of individuals over $100,000 was raised. In 2014 the MAPS School Board approved the proceeds from the sale of the old Kennedy Elementary building in Parkdale as well as the proceeds from a timber sale on the school forest be contributed to the Community Track project. Since that time fundraising efforts have kicked into high gear with significant donations from several local businesses and organizations as well as a significant number of individual/family donations.
During the winter of 15/16 we worked with Foresite Design, which is a design firm that specializes in school and community sports facilities. Through this process, several different site locations and orientations were evaluated to maximize the quality of track we can provide the community as well as making sure that the MAPS facilities are used in an efficient manner that supports all of our athletic efforts. The end goal to create a top notch track for community and school use.
It was decided that the site south of the MMHS school facility would be an excellent location for the new community track and would allow the existing Centennial Track location to be turned into a practice field for soccer and football. Due to the topography, an east/west orientation for the new Community Track makes best use of the space available, allowing us to retain practice football and soccer fields in that area as well as the existing location of the softball and baseball fields.
In the spring of the 2017/18 school year Phase 1 was completed and the first track meet was held May 8, 2018 when Manistee was the home team in a track meet with Muskegon Catholic Central. The Chippewas won the Lakes-8 dual meet over the Crusaders, but the real excitement was that the meet took place, on the new Manistee Community Track that both teams can call home.
Project Partners

........
No. 1
DFT (ωB97M-V with the def2-TZVPD basis set) results for a gas-phase ion, C8H14NS (charge +1) in a non-equilibrium geometry.

Element x y z (Å)
C  -1.516  -1.736  0.381
C  -0.549  -0.753  0.175
N  0.675  -1.075  -0.111
C  1.183  -2.386  -0.308
C  1.627  -0.001  -0.054
S  3.289  -0.202  0.112
C  0.703  1.294  -0.138
C  1.152  2.423  0.814
C  -0.685  0.762  0.177
C  -1.853  1.167  -0.866
H  -2.471  -1.554  -0.166
H  -1.657  -1.455  1.480
H  -1.190  -2.816  0.287
H  0.373  -3.072  -0.707
H  1.615  -2.815  0.492
H  2.094  -2.265  -1.071
H  0.663  1.654  -1.174
H  1.265  2.097  1.821
H  0.520  3.312  0.625
H  2.133  2.710  0.429
H  -1.082  1.038  1.180
H  -1.479  0.842  -1.903
H  -2.086  2.204  -0.956
H  -2.723  0.632  -0.519

Its SMILES is CC1=[N+](C)C(=S)[C@H](C)[C@H]1C. The value obtained for the energy above the lowest of the compared OMol25 structures with the same formula, charge and spin is 123.4 kJ/mol. Its net charge is +1. Its HOMO energy is -13.1 eV. The calculation puts the total energy at -765.8758 hartree. Its HOMO-LUMO gap is 8.075 eV. The calculation puts the strongest force on any atom at 5.44 eV Å⁻¹.

These are the Löwdin partial charges, in e, on atoms 1 to 5:
1 C 0.034
2 C -0.217
3 N -0.080
4 C -0.038
5 C -0.573

***

No. 2
DFT (ωB97M-V with the def2-TZVPD basis set) results for 4 unconnected molecules or ions with the total composition C2H12O3S2 in a non-equilibrium geometry.

Element x y z (Å)
C  -0.066  -0.170  1.726
S  0.972  1.321  1.491
S  0.398  1.803  -0.363
C  -1.545  2.007  -0.137
H  -0.615  -0.292  0.851
H  -0.758  0.137  2.495
H  0.578  -0.992  1.980
H  -1.881  1.182  -0.857
H  -1.760  3.001  -0.433
H  -1.805  1.943  0.852
O  -0.546  -4.163  1.564
H  -0.962  -5.048  1.491
H  -1.249  -3.527  1.717
O  -2.375  -1.598  -3.290
H  -2.526  -2.179  -4.012
H  -2.781  -2.074  -2.562
O  2.512  -0.790  -1.457
H  3.152  -0.340  -2.027
H  1.622  -0.401  -1.587

Its SMILES is CSSC.O.O.O. The value obtained for the energy above the lowest of the compared OMol25 structures with the same formula, charge and spin is 146.6 kJ/mol. Its HOMO energy is -8.2 eV. The calculation puts the total energy at -1105.4457 hartree. Its HOMO-LUMO gap is 8.596 eV. The calculation puts the strongest force on any atom at 4.66 eV Å⁻¹.

These are the Löwdin partial charges, in e, on atoms 1 to 5:
1 C -0.437
2 S 0.397
3 S 0.367
4 C -0.325
5 H -0.020

***

No. 3
DFT (ωB97M-V with the def2-TZVPD basis set) results for 2 unconnected molecules or ions with the total composition C34H42BNO2S in a non-equilibrium geometry.

Element x y z (Å)
C  -4.597  -1.184  3.491
C  -3.411  -1.021  2.577
C  -2.755  0.212  2.440
C  -1.534  0.291  1.779
C  -1.019  -0.813  1.067
C  0.331  -0.709  0.405
B  1.112  -2.225  0.156
O  0.646  -3.492  0.032
C  1.082  -3.869  -1.309
C  1.337  -5.349  -1.308
C  -0.055  -3.545  -2.270
C  2.385  -2.974  -1.554
C  3.708  -3.562  -1.067
C  2.569  -2.435  -2.961
O  2.159  -1.865  -0.677
C  1.409  -0.369  1.416
C  2.519  0.453  1.143
........

Manistee High School Athletics proudly partners with various local and regional media outlets. Frequently our athletic games are broadcasted on Eagle 101.5. For recaps of our games across all of our sports, visit:, the area's local news source for analysis and interviews.

Manistee 350 Club Athletic Boosters is a nonprofit organization whose purpose is to preserve, enhance and expand the total interscholastic athletic programs of Manistee High & Middle Schools.

**The entry is interrupted by quantum chemistry results:**
# 1
ORCA calculation (the ωB97M-V functional and the def2-TZVPD basis) on C24H28ClN3O2 in the gas phase.

SMILES = Cc1c(C)n(Cc2ccc(Cl)cc2)c2ccc(C(=O)NCCN3CCOCC3)cc12
Orbital gap = 8.48 eV
Relative energy (zero: lowest compared OMol25 entry of this formula, charge and spin) = 21.05 kcal per mole

```
! RIJCOSX wB97M-V def2-TZVPD def2/J DEFGRID3
* xyz 0 1
C -2.42835 -0.53075 -2.55063
C -2.54468 0.23911 -1.27834
C -3.34461 1.31350 -0.99803
C -4.31396 2.02848 -1.87294
N -3.14774 1.71290 0.31085
C -3.76882 2.82067 0.97858
C -2.86812 4.03159 1.09025
C -1.77829 4.20214 0.24810
C -0.97044 5.32016 0.35510
C -1.25806 6.27907 1.31174
Cl -0.25417 7.67966 1.45036
C -2.34264 6.12669 2.16129
C -3.13915 5.00320 2.04607
C -2.19402 0.91596 0.87525
C -1.64331 0.92783 2.15131
C -0.69736 -0.02602 2.44489
C -0.28033 -0.97686 1.49782
C 0.74319 -1.95965 1.94770
O 0.89430 -2.26501 3.11658
N 1.50105 -2.49649 0.95567
C 2.58851 -3.40389 1.22506
C 3.97689 -2.78098 0.94766
N 4.50389 -2.80314 -0.39204
C 5.05976 -4.03665 -0.90725
C 4.07491 -4.84208 -1.76805
O 3.52598 -4.04573 -2.79684
C 2.86273 -2.92111 -2.26208
C 3.82776 -2.05882 -1.43209
C -0.83227 -0.98915 0.22725
C -1.79468 -0.03663 -0.09315
H -3.15665 -0.19663 -3.28425
H -2.59109 -1.59163 -2.36330
H -1.43114 -0.41505 -2.97685
H -5.33454 1.91032 -1.50576
H -4.08525 3.09365 -1.91827
H -4.26950 1.62692 -2.88066
H -4.67794 3.09833 0.43660
H -4.06885 2.50277 1.98380
H -1.54795 3.45475 -0.49623
H -0.12258 5.44645 -0.29940
H -2.55634 6.87749 2.90545
H -3.98307 4.88027 2.70929
H -1.94031 1.65961 2.88719
H -0.24565 -0.06850 3.42394
H 1.40802 -2.13288 0.02221
H 2.45815 -4.32557 0.64924
H 2.51389 -3.64239 2.28900
H 4.70894 -3.29304 1.57721
H 3.94006 -1.73415 1.26832
H 5.41728 -4.64980 -0.07972
H 5.91502 -3.76727 -1.54068
H 4.58898 -5.66561 -2.26670
H 3.26373 -5.25413 -1.14710
H 2.48406 -2.35827 -3.11785
H 2.01103 -3.26226 -1.65219
H 3.30609 -1.20729 -0.99279
H 4.59893 -1.67840 -2.11493
H -0.56128 -1.73570 -0.50566
*
```

=====

# 2
ORCA calculation (the ωB97M-V functional and the def2-TZVPD basis) on 15 unconnected molecules or ions with the total composition C90H60O30.

Orbital gap = 7.70 eV
Relative energy (zero: lowest compared OMol25 entry of this formula, charge and spin) = 17.73 kcal per mole

```
! RIJCOSX wB97M-V def2-TZVPD def2/J DEFGRID3
* xyz 0 1
C 9.99018 18.59408 20.94998
C 10.61767 18.07738 19.87615
C 12.10547 17.91341 19.89153
O 12.72158 17.51840 18.92639
C 12.78045 18.37742 21.19226
C 12.14136 18.85708 22.24411
C 10.68368 18.86802 22.19356
O 10.02735 19.12414 23.15316
H 8.98961 18.89549 20.86877
H 10.11766 17.76823 18.97974
H 13.81105 18.41662 21.09225
H 12.66568 19.36277 23.05700
C 15.89638 26.89364 15.55943
C 15.89372 25.54499 15.54320
C 16.40857 24.71715 14.44215
O 16.54913 23.50712 14.53935
C 16.77001 25.40559 13.16468
C 17.00026 26.73556 13.31220
C 16.47947 27.59761 14.43182
O 16.47573 28.79624 14.33696
H 15.49940 27.54625 16.34799
H 15.48535 25.10022 16.40513
H 16.82514 24.90706 12.20877
**Here the entry continues:**

Manistee High School Athletics strictly adheres to the principals and directives of the Michigan High School Athletic Association, and is a proud league partner with the Lakes 8 Activities Conference.